本文介绍了调用一个 python 函数,该函数将 MATLAB 函数句柄作为来自 matlab 的参数的处理方法,对大家解决问题具有一定的参考价值,需要的朋友们下面随着小编来一起学习吧!


我正在尝试使用 MATLAB 环境中的 scipy.optimize.differential_evolution (python).

I'm trying to use the scipy.optimize.differential_evolution (python) from MATLAB environment.

到目前为止,我可以调用 differential_evolution 函数.唯一的问题是它显然无法接收 MATLAB 函数句柄作为参数.

So far, I am able to call the differential_evolution function. The only problem is that it apprently cannot receive MATLAB function handles as an argument.


使用 py.scipy.optimize.differential_evolution 句柄到 MATLAB 时出错函数 '@(x)x(1).^2.*x(2).^2' 不受支持.使用一个句柄Python函数.

是否有一些巧妙的方法或函数可以将 MATLAB 函数句柄转换"为 python 函数,以便我可以使用 scipy 中的简洁优化函数?

Is there some neat way or function to "convert" a MATLAB function handle into a python function, so that I could use the neat optimization function from scipy?



I suspect that what you want can't directly be done.

首先,如果你传递一个 MATLAB 匿名函数,python 接口中的任何东西都会给你这个错误:

Firstly, anything in the python interface will give you that error if you pass it a MATLAB anonymous function:

>> py.print(@(x) x)
Error using py.print
Handle to MATLAB function '@(x)x' is not supported. Use a handle to a Python function.

这非常强烈地表明,一旦你有了一个 MATLAB 匿名函数,你就不能将它传递给 python.

This very strongly suggests that once you have a MATLAB anonymous function you can't pass it to python.

还要注意,虽然缺少MATLAB函数句柄支持在限制中没有明确提到详细说明支持的数据类型的文档部分 做了以下评论:

Also note that while the lack of MATLAB function handle support is not explicitly mentioned among the limitations, the section of the documentation detailing supported data types makes this remark:

MATLAB 输入参数类型 - 仅限标量值
函数句柄@py.module.function,仅适用于 Python 函数

Python 函数的区别在于,即使是最简单的 Python 函数也拒绝接受 MATLAB 函数句柄.

The distinction for Python functions is in line with the fact that even the simplest Python functions refuse to accept MATLAB function handles.

我们可以尝试将您的 MATLAB 匿名函数转换为 python 函数,但我必须事先说明它很乱,如果我是您,我会避免这样做.由于 lambdas 不是由 MATLAB 的 Python API 直接公开的:

We could try converting your MATLAB anonymous function to a python one, but I have to note upfront that it's messy and I'd avoid doing this if I were you. Since lambdas aren't directly exposed by MATLAB's Python API:

>> py.lambda
Unable to resolve the name py.lambda.

我们不得不求助于使用 python lambda 调用 Python 的 eval(因为 exec 似乎也没有暴露):

we have to resort to calling Python's eval using a python lambda (because exec also doesn't seem to be exposed):

>> py_f = py.eval('lambda x: x**2', py.dict());
>> py_f(3)

ans =


(感谢 @yuyichao 指出缺失的 globals 需要传递的字典.)

=====
Record 1
Density functional theory data (PBE-GGA) for a relaxed NiH18I10N6 crystal.

Computed properties:
Crystal system ... monoclinic

Unit cell a=9.3240 b=17.0250 c=10.7381 alpha=90.00 beta=122.75 gamma=90.00
Last column: nearest neighbours and their distance in Å.
Fractional coordinates of all 70 atoms:
Ni  0.0000  0.0000  0.0000  6 N 2.14-2.16
Ni  0.0000  0.5000  0.5000  6 N 2.14-2.16
H  0.0444  0.0563  0.7850  1 N 1.02
H  0.0444  0.4437  0.2850  1 N 1.02
H  0.0464  0.5395  0.2779  1 N 1.02
H  0.0464  0.9605  0.7779  1 N 1.02
H  0.1225  0.1457  0.1041  1 N 1.02
H  0.1225  0.3543  0.6041  1 N 1.02
H  0.1513  0.6408  0.6102  1 N 1.03
H  0.1513  0.8592  0.1102  1 N 1.03
H  0.2163  0.0079  0.9022  1 N 1.02
H  0.2163  0.4921  0.4022  1 N 1.02
H  0.2243  0.0851  0.2422  1 N 1.02
H  0.2243  0.4149  0.7422  1 N 1.02
H  0.2546  0.5761  0.7406  1 N 1.02
H  0.2546  0.9239  0.2406  1 N 1.02
H  0.2800  0.0943  0.1226  1 N 1.02
H  0.2800  0.4057  0.6226  1 N 1.02
H  0.2923  0.5845  0.6091  1 N 1.02
H  0.2923  0.9155  0.1091  1 N 1.02
H  0.7077  0.0845  0.8909  1 N 1.02
H  0.7077  0.4155  0.3909  1 N 1.02
H  0.7200  0.5943  0.3774  1 N 1.02
H  0.7200  0.9057  0.8774  1 N 1.02
H  0.7454  0.0761  0.7594  1 N 1.02
H  0.7454  0.4239  0.2594  1 N 1.02
H  0.7757  0.5851  0.2578  1 N 1.02
H  0.7757  0.9149  0.7578  1 N 1.02
H  0.7837  0.5079  0.5978  1 N 1.02
H  0.7837  0.9921  0.0978  1 N 1.02
H  0.8487  0.1408  0.8898  1 N 1.03
H  0.8487  0.3592  0.3898  1 N 1.03
H  0.8775  0.6457  0.3959  1 N 1.02
H  0.8775  0.8543  0.8959  1 N 1.02
H  0.9536  0.0395  0.2221  1 N 1.02
H  0.9536  0.4605  0.7221  1 N 1.02
H  0.9556  0.5563  0.7150  1 N 1.02
H  0.9556  0.9437  0.2150  1 N 1.02
I  0.0017  0.7068  0.1491  1 I 2.87, 2 H 3.08-3.09
I  0.0017  0.7932  0.6491  1 I 2.87, 2 H 3.08-3.09
I  0.2378  0.1675  0.6563  2 I 2.87-3.07
I  0.2378  0.3325  0.1563  2 I 2.87-3.07
I  0.3095  0.5270  0.0696  1 I 2.82
I  0.3095  0.9730  0.5696  1 I 2.82
I  0.3876  0.6805  0.0251  1 I 2.82, 1 H 3.15
I  0.3876  0.8195  0.5251  1 I 2.82, 1 H 3.15
I  0.4924  0.1424  0.9895  3 H 2.90-3.18, 2 I 3.07-3.25
I  0.4924  0.3576  0.4895  3 H 2.90-3.18, 2 I 3.07-3.25
I  0.5076  0.6424  0.5105  3 H 2.90-3.18, 2 I 3.07-3.25
I  0.5076  0.8576  0.0105  3 H 2.90-3.18, 2 I 3.07-3.25
I  0.6124  0.1805  0.4749  1 I 2.82, 1 H 3.15
I  0.6124  0.3195  0.9749  1 I 2.82, 1 H 3.15
I  0.6905  0.0270  0.4304  1 I 2.82
I  0.6905  0.4730  0.9304  1 I 2.82
I  0.7622  0.6675  0.8437  2 I 2.87-3.07
I  0.7622  0.8325  0.3437  2 I 2.87-3.07
I  0.9983  0.2068  0.3509  1 I 2.87, 2 H 3.08-3.09
I  0.9983  0.2932  0.8509  1 I 2.87, 2 H 3.08-3.09
N  0.0864  0.0070  0.8497  3 H 1.02
N  0.0864  0.4930  0.3497  3 H 1.02
N  0.1765  0.0911  0.1318  3 H 1.02
N  0.1765  0.4089  0.6318  3 H 1.02
N  0.1964  0.5843  0.6289  3 H 1.02-1.03
N  0.1964  0.9157  0.1289  3 H 1.02-1.03
N  0.8036  0.0843  0.8711  3 H 1.02-1.03
N  0.8036  0.4157  0.3711  3 H 1.02-1.03
N  0.8235  0.5911  0.3682  3 H 1.02
N  0.8235  0.9089  0.8682  3 H 1.02
=====
### The data records stop here

(Kudos to @yuyichao for fixing this snippet of mine by pointing out the missing globals dict that needs to be passed.)

然而,一个简单的问题是:你真的需要一个 MATLAB 匿名函数吗?您也可以使用适当的 Python 函数(或 lambda)并将其他可能的参数作为 args 传递给底层 scipy.optimize 函数.您可以在 python 文件中定义自定义函数,然后从 MATLAB 中import 并使用相应的函数句柄.这可能是最直接的方式.

However, a straightforward question is: do you really need a MATLAB anonymous function? You could just as well use a proper python function (or lambda) and pass possible other arguments to the underlying scipy.optimize function as args. You could define your custom function in a python file and import that from MATLAB and use the corresponding function handle. This would probably be the straightforward way.

这篇关于调用一个 python 函数,该函数将 MATLAB 函数句柄作为来自 matlab 的参数的文章就介绍到这了,希望我们推荐的答案对大家有所帮助,也希望大家多多支持!

09-05 11:45